xxxxR U T HxxxT H R Ú DxxxL E V Y xxxxxxxxxxxxxxx

          xxxxB E H I N D T H E N A M E xxxxxxxxxxx
              NICKNAMES Ruth, Ruthie

              AGE 16

              BIRTHDAY 1 July 2046

              BLOOD STATUS Halfblood

              WAND 11in, Cedar wood, Hippogriff talon core, rigid with a smooth texture

              GENDER Female

              SEXUAL ORIENTATION Undetermined

              FACECLAIM Picrew until further notice [x]

              LANGUAGES Icelandic, English, basic Hebrew and BSL

        xxxxS C H O O L A N D C A R E E R xxxxxx
            ATTENDING Hogwarts School of Witchcraft and Wizardry

            HOUSE Ravenclaw

            YEAR Sixth

            BEST LESSONS

            WORST LESSONS

            HONORS Honors Recieved

            SCHOOL ACTIVITIES Art Club, Adventure's Club, Astronomy Club

            CURRENT EMPLOYMENT Paranormal investigator

            DREAM JOB To live in a library. Or the moon.

        xxxxP E R S O N A L I T Y xxxxxxxxxxxxxxx
            ◊ PERSISTANT Ruth likes figuring out the truth for herself and is very dogged in her approach to it. If she can't find answers she considers satisfactory then she will dig deeper and deeper and until she does. Before or after exhaustion is not really important.
            ◊ SKITTISH Despite her rather large and supportive family, she's still shy and wary around new people and will usually stand or hide behind a nearby family member until she concluded the new person was not an issue.
            ◊ PARANOID Not as violent as it used to be but Ruth still practices vigilance. Every new person is a potential threat until proven otherwise, every call is a scam, every puppy is secretly a kidnapping *****, etc.etc. Her siblings help her unwind now and again but sometimes she's still right.
            ◊ PERCEPTIVE Due to her paranoia, Ruth makes sure she’s nearly always one step ahead of anything so she never gets surprised and thus can’t become nervous. It’s very hard to hide something from her whether it be a secret or a hidden snack.
            ◊ RESOURCEFUL Since she’s afraid of nearly everyone and asking for help is nearly always out the question, Ruth has gotten very good at figuring out stuff for herself. If she can’t find it, fix it, or reconfigure it, it was obviously not meant to be.
            ◊ HONEST Ruth hates lies. She hates being lied to as well but she especially hates saying one. If and whenever at all possibly, she will tell the truth (or at the very least what she believes it is).

                Stuffed animals
                Strawberry anything

                Loud noises
                Getting scared
                Chocolate milk
                Traffic sounds

                Making sure she’s not being spied on


                Her paranoia
                Large crowds

                Being stolen by the government
                Being called on in class

        xxxxH I S T O R Y xxxxxxxxxxxxxxxxxxxxx
            CHILDHOOD Ruth was born to her parents Avila and Hrodger Hoefler. Her mother was a historian at a small museum and her father was a wizard who secretly worked in misinformation. He never told his wife what he was but had plans to if his daughter showed any inclination towards magic. Unfortunately, he wouldn’t get the chance as nearly a year after his daughter’s birth he would be in muggle London during a magical fiasco and bitten by a runespoor. By the time he could apparate to St. Mungos it was too late for him and he succumbed to the venomous bite. Avila was told the appropriate lie made by magical authorities and while suspicious, was too busy grieving to really question it. However, when Ruth began showing signs of magic, Avila’s grip on reality began to slide. She began believing it was because of her daughter’s gifts that her husband was somehow killed and that Someone was always watching them, waiting for them to slip so they could kill her as well. And she would tell this to her young daughter enforcing strict codes of conduct upon the girl to constantly be vigilant and to trust no one. Some days were nice than others with the mother teaching her young daughter Norse legends, her specialty at the museum, and helping her with reading. When Avila didn’t show up to work for two weeks without call or notice, police were sent to her home where they found black out curtains over every window, a filthy Ruth scrounging what she could from the pantry and a rambling Avila in the living room painting different sigils on the floor. Ruth was effectively taken from her care and placed at Wool’s who she believed worked for the All Knowing Thing her mother always talked about. In the year she was there she refused to talk to or interact with anyone until a girl her age came in. It took a while, but Ruth eventually warmed up to Everly enough to actually befriend her.

            Before her second year full year at the orphanage, Ruth and Evie were approached by a very weird couple who wished to adopt. She thought they were going to for a baby but instead they wanted the both of them. It's weird suddenly having a new family but she supposes a very happy weird. She not only became closer to Evie (her unofficially official twin now) but also her newest older brother, and older cousins. Even her uncles! She especially liked sitting with her uncles Kenny or Rhys in silence while they all read or sketched, it made her heart feel cozy.

            When the time came for their Hogwarts letters, Ruth was more nervous than she originally thought and before she realized it, she had gathered a veritable nest of sweaters from basically everyone she was close to in her family. Evie also decided to collect some comfort and set her sights on Simon's comfy hats (a very good choice in her opinion) and after some help from Kai she managed to swipe her hoard. She's really hoping it'll be enough but she's also very happy she's not going alone; afterall she's got her twin!

            SCHOOL YEARS
                ◊ FIRST YEAR Starting a new school was scary and even though she had Everly with her and she was going to be with her big brother and older cousins, it still felt like she was going to a whole different planet! In order to prepare, she made a stash of just about everyone's sweater or jacket she'd "borrowed" so when she missed them she would have something. When she arrived at the school she was sorted into Ravenclaw with her brother and sister which was good since she wasn't sure how she'd make it in a whole different house. School itself wasn't that much different than before-even with magic!-and she even managed to have a little bit of fun!
                ◊ SECOND YEAR Nothing really happened this year. Ruth joined some more clubs, leveled up her cleric and learned that yes, plants do bite back.
                ◊ THIRD YEAR Ruth joined a bunch of electives-even ones without her sister-and while she was a bit disappointed in how limited the paranormal class was, she was very much enjoying alchemy and runes. She spent the year either with her clubs or cheering on her sister in quidditch (when also not berating her because OF ALL THE DANGEROUS THINGS TO CHOOSE?!?!??)
                ◊ FOURTH YEAR Was basically the same as before excluding the sadness of her tiefling taking critical damage in the last part of their tabletop game.
                ◊ FIFTH YEAR Ruth wasn't surprised Evie had been made prefect and was thankful for it. Just because she was now comfortable occasionally speaking up around others didn't mean she wanted to. Especially on an official capacity. Ick. She helped in clubs in between studying for her OWL's and mentally prepare herself for her little sister joining school. If she gave half this anxiety to Kai when she and Evie joined she was definitely sending him a candy basket.
                ◊ SIXTH YEAR Information
                ◊ SEVENTH YEAR Information

            POST GRADUATION Information

Someone pasted data records at this point.
<<<
# UVSbO6 (GGA+U, optimized geometry)
# **Total magnetic moment**: 2.01 μB per formula unit
# **Electronic total energy**: -72.44 eV/f.u.
data_UVSbO6
_symmetry_space_group_name_H-M 'P -3 1 c'
_symmetry_Int_Tables_number 163
_symmetry_space_group_name_Hall '-P 3 2c'
_cell_length_a 5.4199
_cell_length_b 5.4199
_cell_length_c 9.6764
_cell_angle_alpha 90.00
_cell_angle_beta 90.00
_cell_angle_gamma 120.00
loop_
_atom_site_label
_atom_site_fract_x
_atom_site_fract_y
_atom_site_fract_z
_atom_site_occupancy
U1 0.3333 0.6667 0.2500 1
V1 0.3333 0.6667 0.7500 1
Sb1 0.0000 0.0000 0.0000 1
O1 0.0091 0.3556 0.6365 1

* * * * *

# Sr2CaZr | Alexandria via LeMat-Bulk | meta-GGA SCAN | single point on PBEsol structure
data_Sr2CaZr
_space_group_name_H-M_alt 'P 1'
_space_group_IT_number 1
_cell_length_a 3.6520
_cell_length_b 5.3734
_cell_length_c 7.5449
_cell_angle_alpha 90.00
_cell_angle_beta 90.00
_cell_angle_gamma 90.00
loop_
_space_group_symop_operation_xyz
'x,y,z'
loop_
_atom_site_label
_atom_site_fract_x
_atom_site_fract_y
_atom_site_fract_z
Sr1 0.0000 0.0000 0.2312
Sr2 0.0000 0.0000 0.7688
Ca1 0.5000 0.5000 0.5000
Zr1 0.5000 0.5000 0.0000
# Relative energy among the computed polymorphs, meV/atom: 53
# ΔE_f, eV/atom: 0.446
# Symmetry: Pmmm (47)
# Energy, eV per atom: -20.783
# Size of the total moment, Bohr magnetons per cell: 2.06


# Sr2CaZr | Alexandria via LeMat-Bulk | meta-GGA SCAN | single point on PBEsol structure
data_Sr2CaZr
_space_group_name_H-M_alt 'P 1'
_space_group_IT_number 1
_cell_length_a 3.6842
_cell_length_b 3.6842
_cell_length_c 10.8917
_cell_angle_alpha 90.00
_cell_angle_beta 90.00
_cell_angle_gamma 90.00
loop_
_space_group_symop_operation_xyz
'x,y,z'
loop_
_atom_site_label
_atom_site_fract_x
_atom_site_fract_y
_atom_site_fract_z
Sr1 0.0000 0.0000 0.0000
Sr2 0.5000 0.5000 0.3011
Ca1 0.5000 0.5000 0.7194
Zr1 0.0000 0.0000 0.5202
# Relative energy among the computed polymorphs, meV/atom: 0
# ΔE_f, eV/atom: 0.393
# Symmetry: P4mm (99)
# Energy, eV per atom: -20.835
# Size of the total moment, Bohr magnetons per cell: 0.04


# SrCaZr2 | Alexandria via LeMat-Bulk | meta-GGA SCAN | single point on PBEsol structure
data_SrCaZr2
_space_group_name_H-M_alt 'P 1'
_space_group_IT_number 1
_cell_length_a 6.8466
_cell_length_b 6.8466
_cell_length_c 6.8466
_cell_angle_alpha 152.01
_cell_angle_beta 126.57
_cell_angle_gamma 61.39
loop_
_space_group_symop_operation_xyz
'x,y,z'
loop_
_atom_site_label
_atom_site_fract_x
_atom_site_fract_y
_atom_site_fract_z
Sr1 0.0000 0.0000 0.0000
Ca1 0.7161 0.2161 0.5000
Zr1 0.2636 0.7636 0.5000
Zr2 0.4603 0.4603 0.0000
# Relative energy among the computed polymorphs, meV/atom: 208
# ΔE_f, eV/atom: 0.525
# Symmetry: Imm2 (44)
# Energy, eV per atom: -22.809
# Size of the total moment, Bohr magnetons per cell: 0.00


# SrCaZr | Alexandria via LeMat-Bulk | meta-GGA SCAN | single point on PBEsol structure
data_SrCaZr
_space_group_name_H-M_alt 'P 1'
_space_group_IT_number 1
_cell_length_a 3.5344
_cell_length_b 3.5344
>>>

        xxxxR E L A T I O N S H I P S xxxxxxxxxxxx
                Parents - Phineas and Catheryn Levy Avila and Hrodger Hoefler
                Siblings: Malakai and Everly Levy
                Grandparents: Micah and Abagail Levy, Ciaran and Nirav Blake-Chahal
                Uncles: Kenneth Blake, Rhys Blake, Gideon Reid
                Aunts: Jojo Blake and Erszi Levy
                Cousins: Lilian and Abigail Cody, Reginald Blake, Simon Blake

                Best Friend - Everly Levy
                Malakai Levy

            ENEMIES The Government
            PETS A pygmy puff named Pyxis


        UPDATED 5/6/2024

        ■ Age, year, school years

        PENDED BY 𝓖𝓻𝔂𝒇𝒇𝓲𝒆 09/30/2022
        ACCEPTED BY ♥ Steffy ♥ 12/12/22
        RECENT UPDATES ACCEPTED BY (do not touch this)